Naturebase: Harnessing Hard Data to Cut through the Noise

# Between two parts of the entry: materials data
-- begin --
1.
A plane-wave DFT calculation with PBE+U was carried out for a relaxed structure of MgMn6O10F2.

a = 5.088 Å, b = 2.979 Å, c = 14.116 Å
α = 90.00°, β = 97.87°, γ = 90.00°
Sites, in units of the cell vectors:
Mg 0.000 0.000 0.000
Mn 0.051 0.500 0.525
Mn 0.057 0.500 0.197
Mn 0.147 0.500 0.813
Mn 0.501 0.000 0.046
Mn 0.600 0.000 0.669
Mn 0.612 0.000 0.343
O 0.244 0.500 0.075
O 0.259 0.000 0.906
O 0.269 0.000 0.252
O 0.272 0.000 0.577
O 0.454 0.500 0.735
O 0.755 0.500 0.607
O 0.766 0.500 0.282
O 0.852 0.000 0.129
O 0.909 0.000 0.444
O 0.927 0.000 0.762
F 0.445 0.500 0.408
F 0.750 0.500 0.961

Results
Its total energy after the MP2020 corrections is -7.845 eV per atom. For the total energy, the calculation gives -131.247 eV per cell. The energy of formation is -2.06 eV per atom. As for the distance to the lowest polymorph of the same formula: 69 meV per atom. Its symmetry is Pm. As for the magnetic moment: 22.00 Bohr magnetons per cell.

***

2.
A plane-wave DFT calculation with PBE+U was carried out for a relaxed structure of La2MgCo2Sb2Pb2O12.

a = 6.026 Å, b = 7.253 Å, c = 7.365 Å
α = 91.44°, β = 90.94°, γ = 98.13°
Sites, in units of the cell vectors:
La 0.000 0.000 0.000
La 0.481 0.253 0.552
Mg 0.264 0.647 0.523
Co 0.034 0.456 0.828
Co 0.492 0.909 0.267
Sb 0.471 0.868 0.799
Sb 0.993 0.346 0.301
Pb 0.476 0.443 0.071
Pb 0.837 0.812 0.486
O 0.119 0.385 0.565
O 0.154 0.733 0.807
O 0.201 0.585 0.260
O 0.261 0.204 0.257
O 0.352 0.105 0.852
O 0.376 0.922 0.515
O 0.551 0.636 0.670
O 0.604 0.822 0.040
O 0.716 0.461 0.348
O 0.767 0.010 0.734
O 0.801 0.100 0.328
O 0.928 0.312 0.028

Results
Its total energy after the MP2020 corrections is -6.882 eV per atom. For the total energy, the calculation gives -133.005 eV per cell. The energy of formation is -2.08 eV per atom. As for the distance to the lowest polymorph of the same formula: 96 meV per atom. Its symmetry is P1. As for the magnetic moment: 0.00 Bohr magnetons per cell.

***

3.
A plane-wave DFT calculation with PBE+U was carried out for a relaxed structure of Li2Mn2Si3O9.

a = 10.180 Å, b = 10.180 Å, c = 12.521 Å
α = 90.00°, β = 90.00°, γ = 120.00°
Sites, in units of the cell vectors:
Li 0.000 0.657 0.000
Li 0.047 0.183 0.770
Li 0.136 0.953 0.103
Li 0.172 0.472 0.601
Li 0.173 0.046 0.599
Li 0.301 0.828 0.935
Li 0.343 0.342 0.667
Li 0.528 0.699 0.268
Li 0.658 0.000 0.333
Li 0.817 0.864 0.436
Li 0.873 0.827 0.932
Li 0.954 0.127 0.265
Mn 0.188 0.501 0.073
Mn 0.313 0.812 0.406
Mn 0.335 0.308 0.172
Mn 0.368 0.338 0.919
Mn 0.486 0.163 0.758
Mn 0.499 0.687 0.740
Mn 0.662 0.029 0.585
Mn 0.677 0.514 0.091
Mn 0.692 0.027 0.838
Mn 0.837 0.323 0.424
Mn 0.971 0.632 0.252
Mn 0.973 0.665 0.505
Si 0.043 0.183 0.501
Si 0.139 0.957 0.834
Si 0.168 0.006 0.356
Si 0.169 0.508 0.819
Si 0.192 0.476 0.342
Si 0.284 0.808 0.675
Si 0.339 0.831 0.152
Si 0.466 0.186 0.486
Si 0.492 0.661 0.485
Si 0.508 0.130 0.032
Si 0.524 0.716 0.009
Si 0.622 0.492 0.365
Si 0.720 0.534 0.819
Si 0.814 0.280 0.152
Si 0.817 0.861 0.168
-- stop --
# The materials data stop here

Opinion 28.07.24

Posted by Peter Ellis, The Nature Conservancy

### Crystal structures that have nothing to do with the piece
+++
Record 1
Entry from the Materials Project database: a relaxed LiCr2S4 crystal (GGA-PBE).

Structure (POSCAR):
```
LiCr2S4
1.0
0.000 4.998 4.998
4.998 0.000 4.998
4.998 4.998 0.000
Li Cr S
2 4 8
Direct
0.125 0.125 0.125
0.875 0.875 0.875
0.000 0.500 0.500
0.500 0.000 0.500
0.500 0.500 0.000
0.500 0.500 0.500
0.261 0.261 0.261
0.261 0.261 0.718
0.261 0.718 0.261
0.282 0.739 0.739
0.718 0.261 0.261
0.739 0.282 0.739
0.739 0.739 0.282
0.739 0.739 0.739
```

Calculated values
DFT formation energy = -1.086 eV/atom
energy relative to the lowest polymorph listed for this composition = 8 meV/atom
volume = 17.83 Å³ per atom

---

Record 2
Entry from the Materials Project database: a relaxed Na10Hf5Zn3P12O48 crystal (GGA-PBE).

Structure (POSCAR):
```
Na10Hf5Zn3P12O48
1.0
8.980 0.000 0.000
-0.003 15.535 0.000
-0.006 -0.012 22.644
Na Hf Zn P O
30 15 9 36 144
Direct
0.000 0.000 0.000
0.000 0.337 0.669
0.020 0.035 0.337
0.023 0.701 0.669
0.057 0.008 0.668
0.061 0.342 0.337
0.181 0.516 0.920
0.186 0.844 0.584
0.191 0.525 0.424
0.193 0.182 0.752
0.199 0.844 0.083
0.207 0.182 0.259
0.328 0.008 0.169
0.364 0.701 0.169
0.365 0.368 0.500
0.385 0.003 0.500
0.387 0.337 0.170
0.499 0.837 0.669
0.500 0.500 0.000
0.522 0.201 0.668
0.558 0.508 0.669
0.681 0.016 0.920
0.692 0.682 0.254
0.693 0.682 0.753
0.697 0.017 0.424
0.699 0.344 0.083
0.705 0.348 0.584
0.830 0.508 0.169
0.865 0.202 0.169
0.888 0.837 0.169
0.191 0.182 0.597
0.191 0.846 0.434
0.194 0.183 0.098
0.194 0.515 0.769
0.195 0.183 0.894
0.197 0.846 0.932
0.198 0.518 0.269
0.685 0.015 0.269
0.693 0.682 0.396
0.693 0.682 0.598
0.694 0.015 0.769
0.695 0.683 0.098
0.695 0.683 0.894
0.696 0.347 0.433
0.697 0.346 0.932
0.184 0.516 0.063
0.185 0.519 0.563
0.194 0.849 0.738
0.195 0.847 0.239
0.201 0.181 0.400
0.684 0.016 0.063
0.690 0.349 0.239
0.694 0.349 0.738
0.704 0.016 0.564
0.042 0.034 0.495
0.046 0.702 0.829
0.047 0.331 0.496
0.047 0.370 0.164
0.047 0.995 0.830
0.049 0.662 0.163
0.337 0.996 0.331
0.339 0.661 0.663
0.340 0.369 0.662
0.341 0.331 0.998
0.342 0.035 0.998
0.343 0.703 0.329
0.398 0.347 0.330
0.399 0.682 0.998
0.401 0.015 0.662
0.487 0.515 0.161
0.487 0.848 0.829
0.489 0.181 0.497
0.544 0.534 0.498
0.546 0.202 0.829
0.546 0.831 0.498
0.546 0.869 0.163
0.547 0.495 0.830
0.549 0.162 0.162
0.838 0.162 0.664
0.839 0.496 0.328
0.840 0.869 0.664
0.841 0.831 0.998
0.842 0.201 0.328
0.842 0.535 0.998
0.899 0.182 0.998
0.900 0.848 0.328
0.901 0.515 0.664
0.986 0.015 0.163
0.987 0.348 0.829
0.988 0.680 0.498
0.003 0.532 0.719
0.006 0.862 0.382
0.008 0.172 0.946
0.009 0.855 0.670
0.010 0.525 0.001
0.011 0.190 0.335
0.013 0.500 0.325
0.014 0.168 0.659
0.014 0.839 0.992
0.067 0.751 0.771
0.074 0.427 0.111
0.074 0.603 0.218
0.076 0.086 0.439
0.077 0.274 0.552
0.081 0.940 0.886
0.082 0.765 0.492
0.085 0.099 0.159
0.085 0.601 0.500
0.086 0.431 0.826
0.090 0.269 0.839
0.091 0.937 0.170
0.112 0.754 0.170
0.112 0.959 0.773
0.113 0.289 0.441
0.115 0.087 0.839
0.116 0.749 0.883
0.118 0.078 0.551
0.119 0.410 0.221
+++
### The crystal structures stop here

Facing the climate crisis can be paralyzing. The effects of climate change are so pervasive and daunting, it’s easy to feel powerless. Even when we do work up the courage to act, it seems we can never get it right. Do I recycle, or does it matter? Do I purchase a carbon credit or not?

This confusion can be particularly poignant when it comes to natural climate solutions (NCS): changes in land stewardship (such as reforestation) that provide real climate benefits. Researchers and conservationists started a movement in 2017 when they published research revealing that—were we to take full advantage of nature’s inherent ability to absorb and store atmospheric carbon in the landscape—humans could unlock massive amounts of the climate mitigation needed to avoid the worst-case climate scenarios. 

Unfortunately, the NCS movement has been plagued by controversy and confusion almost since its inception. For a time, it seemed tree planting was all the rage with governments and corporations, until biologists rightly pointed out that trees don’t always need humans to plant them; indeed trees store more carbon when left to grow naturally, nor do they belong everywhere. Many critics also confused NCS with carbon crediting, and expressed concerns that the NCS movement could slow the work needed to decarbonize industry (the other two-thirds of the necessary climate mitigation); Indeed, the corporate fervor to meet net-zero targets through NCS offset crediting surfaced some legitimate greenwashing concerns, and exposed inaccuracies in the mechanisms used to demonstrate additional climate mitigation. All this is enough to paralyze even this climate expert!

What’s needed to cut through this sense of paralysis, procrastination and general prevarication is cold, hard data. Fortunately, the same scientists who kick-started the NCS movement have been hard at work compiling the best available science with the goal of helping decision-makers cut through all this noise. The result is naturebase: an interactive, free-to-access web platform that applies clear, consistent NCS Principles to light the path to no-regrets action. Naturebase answers the questions that land managers, policy-makers, investors, and communities should be asking: how can I work with nature to build a livable future? Where are the biggest opportunities? Where should we avoid? What are the challenges? And most importantly, what can I do to join the movement?

Naturebase’s unique agency for positive change is founded on the state-of-the-art, radically transparent data that underpins its dashboard. When first unveiled in December 2023 at the United Nations Climate Conference COP28 in Dubai, it introduced the world to new maps displaying NCS potential in unprecedented granularity. These maps show where we can be most effective working together with our natural plant allies; they also indicate—with never-before-seen precision—where stewardship actions such as reforestation, agroforestry, and mangrove protection can deliver the most meaningful and measurable progress towards the NCS challenge. Naturebase calls these actions ‘pathways’ because they signpost a hopeful way forward for all of us working to maximize nature’s contribution to the climate fight. Behind each pathway is a team of scientists who have worked for years to provide the best available, transparent, peer-reviewed science in the form of a globally consistent, easy-to-interpret, action-oriented map. With these maps, you can identify the best places to protect, the most effective management practices, and the most powerful opportunities for restoration.

What comes next are crystal structures, not part of the page =
/*
# 1
{"formula": "Sc2InHg", "functional": "PBE-GGA", "state": "relaxed", "ef_ev_per_atom": -0.4202, "space_group": "Fm-3m", "lattice": [[-3.809, 2.800, 1.693], [-1.564, 3.973, -2.643], [-4.443, -0.129, -2.335]], "species": ["Hg", "Sc", "Sc", "In"], "frac_coords": [[0.500, 0.500, 0.500], [0.750, 0.750, 0.750], [0.250, 0.250, 0.250], [0.000, 0.000, 0.000]]}

***

# 2
{"formula": "Tb2InHg", "functional": "PBE-GGA", "state": "relaxed", "ef_ev_per_atom": -0.4704, "space_group": "Fm-3m", "lattice": [[5.136, 0.421, 1.354], [1.465, 3.333, 3.890], [1.692, -1.933, 4.668]], "species": ["Tb", "Tb", "In", "Hg"], "frac_coords": [[0.250, 0.250, 0.250], [0.750, 0.750, 0.750], [0.000, 0.000, 0.000], [0.500, 0.500, 0.500]]}

***

| no. | V (Å³/cell) |
| --- | --- |
| 1 | 89.53 |
| 2 | 106.93 |

* * * * *

# K11Np2H9S10O44, optimized geometry, DFT PBE
data_K11Np2H9S10O44
_cell_length_a 14.303
_cell_length_b 8.472
_cell_length_c 19.191
_cell_angle_alpha 90.00
_cell_angle_beta 107.37
_cell_angle_gamma 90.00
_symmetry_space_group_name_H-M 'P 1 21/c 1'
_symmetry_Int_Tables_number 14
loop_
_symmetry_equiv_pos_as_xyz
'x,y,z'
'-x,-y,-z'
'-x,y+1/2,-z+1/2'
'x,-y+1/2,z+1/2'
loop_
_atom_site_label
_atom_site_type_symbol
_atom_site_fract_x
_atom_site_fract_y
_atom_site_fract_z
K1 K 0.000 0.000 0.000
K2 K 0.060 0.106 0.794
K3 K 0.094 0.642 0.928
K4 K 0.322 0.630 0.637
K5 K 0.339 0.586 0.318
K6 K 0.385 0.114 0.354
Np1 Np 0.264 0.136 0.600
H1 H 0.123 0.714 0.256
H2 H 0.182 0.640 0.793
H3 H 0.429 0.127 0.041
H4 H 0.478 0.700 0.483
H5 H 0.500 0.000 0.000
S1 S 0.110 0.610 0.121
S2 S 0.165 0.145 0.190
S3 S 0.229 0.140 0.962
S4 S 0.354 0.587 0.006
S5 S 0.460 0.153 0.719
O1 O 0.047 0.595 0.169
O2 O 0.062 0.151 0.189
O3 O 0.087 0.746 0.576
O4 O 0.097 0.034 0.571
O5 O 0.151 0.737 0.804
O6 O 0.158 0.010 0.948
O7 O 0.173 0.129 0.113
O8 O 0.180 0.208 0.476
O9 O 0.216 0.200 0.715
O10 O 0.217 0.605 0.165
O11 O 0.219 0.014 0.235
O12 O 0.269 0.159 0.900
O13 O 0.269 0.613 0.038
O14 O 0.310 0.117 0.034
O15 O 0.320 0.605 0.927
O16 O 0.385 0.079 0.530
O17 O 0.399 0.213 0.176
O18 O 0.400 0.009 0.685
O19 O 0.434 0.700 0.040
O20 O 0.442 0.650 0.792
O21 O 0.467 0.158 0.797
O22 O 0.500 0.108 0.042
# Crystal system: monoclinic
# Mass density: 2.9 g/cm3
# Formation energy: -2122 meV per atom
# Uncorrected energy: -6.037 eV per atom

* * * * *

# 1
Cs2VAgS4: relaxed, GGA-PBE.

As for the total energy: -76.23 eV per cell.

Cell lengths 14.3576, 12.7645, 7.7763 Å; angles 85.01, 62.33, 32.65 degrees
Fractional coordinates of all 16 atoms:
Cs 0.0531 0.0531 0.6969
Cs 0.3031 0.3031 0.9469
Cs 0.6969 0.6969 0.0531
Cs 0.9469 0.9469 0.3031
V 0.1250 0.1250 0.1250
V 0.8750 0.8750 0.8750
Ag 0.3750 0.3750 0.3750
Ag 0.6250 0.6250 0.6250
S 0.0647 0.2890 0.3666
S 0.2202 0.6334 0.7110
S 0.2890 0.0647 0.7798
S 0.3666 0.7798 0.0647
S 0.6334 0.2202 0.9353
S 0.7110 0.9353 0.2202
S 0.7798 0.3666 0.2890
S 0.9353 0.7110 0.6334

# 2
CsAg3Se2: relaxed, GGA-PBE.

As for the total energy: -37.96 eV per cell.
*/
The page goes on =

But it doesn’t end there, because none of this can happen without resources. Hence, Naturebase is also compiling a treasure trove of information about where to find and unlock financing to support NCS activities, and how to identify relevant policies that enable your desired interventions. And over the coming months, alongside four novel global pathway datasets, additional data will be added to Naturebase that identifies and maps NCS feasibility constraints: the biggest barriers that impede NCS implementation, compiled from hundreds of on-the-ground practitioners and researchers. Also, because of Naturebase’s commitment to radical transparency, all pathway datasets are free and open access and will include estimates of data confidence, so that decision-makers can track the science as it develops.

Finally, the Naturebase architects understand that the sustainability of the NCS movement rides on the back of the rural communities who are both stewards to many of our most carbon-critical landscapes, but also disproportionately vulnerable to climate-driven disasters. That’s why Naturebase also features a new Human Rights Screening Tool designed to identify, prioritize, and mitigate risks to the people at the front lines of action.

Whether you’re a community leader, a farmer, a logger, a government policy maker, a carbon project developer, or an NCS investor, you no longer need to be paralyzed by the climate crisis. Naturebase is here to guide you! And if you’re a teacher, an activist, a scientist, or even just a concerned citizen, everyone has a role to play in the NCS movement with their vote, voice and wallet, and Naturebase helps us all to engage with intelligence. 

Try it today: log on to and join the movement!